**Wanted:**
Write out every line further down that contains the word "cm".
**Entries:**
........
Np5PaSe8 after structural relaxation. Source: Alexandria via LeMat-Bulk, functional PBE.

Density: 10.3 g cm⁻³
Calculated volume: 23.5 A^3/atom
Space group: I-4 (82)
Raw formation energy: -1.1930 eV per atom

Cell lengths 7.5376, 7.5376, 7.5376 Å; angles 109.46, 109.49, 109.46 degrees
Closest atoms and distances in Å follow each position.
Element x y z (fractional)
1 Pa 0.2500 0.5000 0.7500  8 Se 2.93-3.08
2 Se 0.1244 0.7498 0.0239  1 Pa 2.93, 5 Np 2.94-3.10
3 Se 0.4729 0.5989 0.2226  5 Np 2.93-3.09, 1 Pa 3.08
4 Se 0.6254 0.8995 0.8756  1 Pa 2.93, 5 Np 2.94-3.10
5 Se 0.9761 0.1005 0.7259  1 Pa 2.93, 5 Np 2.94-3.10
6 Se 0.1260 0.7497 0.5271  5 Np 2.93-3.09, 1 Pa 3.08
7 Se 0.2741 0.2502 0.3746  1 Pa 2.93, 5 Np 2.94-3.10
8 Se 0.6237 0.4011 0.8740  5 Np 2.93-3.09, 1 Pa 3.08
9 Se 0.7774 0.2503 0.3763  5 Np 2.93-3.09, 1 Pa 3.08
10 Np 0.7491 0.6238 0.6230  8 Se 2.93-3.10
11 Np 0.3770 0.1260 0.0008  8 Se 2.93-3.10
12 Np 0.9992 0.3762 0.1253  8 Se 2.93-3.10
........
**Response:**
Density: 10.3 g cm⁻³